What to do.
It remains to type out the lines below up to the one that holds "states: 0.997", that line included.

Listing.
VASP calculation (PBE) on an optimized crystal structure of TbHgOsO6.

Summary:
raw formation energy: -1.4270 eV/atom

Geometry as CIF:
```
data_TbHgOsO6
_cell_length_a 5.5980
_cell_length_b 5.5936
_cell_length_c 4.7892
_cell_angle_alpha 90.12
_cell_angle_beta 90.08
_cell_angle_gamma 60.01
_symmetry_space_group_name_H-M 'P 1'
_symmetry_Int_Tables_number 1
loop_
_symmetry_equiv_pos_as_xyz
'x,y,z'
loop_
_atom_site_label
_atom_site_fract_x
_atom_site_fract_y
_atom_site_fract_z
_atom_site_occupancy
Tb1 0.6668 0.6665 0.5000 1
Hg1 0.0002 0.9998 0.0000 1
Os1 0.3334 0.3333 0.5000 1
O1 0.0456 0.3489 0.2733 1
O2 0.3493 0.0461 0.7264 1
O3 0.6048 0.3496 0.7268 1
O4 0.0457 0.6055 0.7266 1
O5 0.3491 0.6048 0.2736 1
O6 0.6047 0.0456 0.2732 1
```

=====

VASP calculation (PBE) on an optimized crystal structure of Ho5Er2Sc4.

Summary:
offset from the most stable computed form: 0.0 kJ per mole of atoms
calculated formation energy: 10 kJ/mol of atoms

Geometry as CIF:
```
data_Ho5Er2Sc4
_cell_length_a 3.4855
_cell_length_b 8.6602
_cell_length_c 10.6986
_cell_angle_alpha 85.37
_cell_angle_beta 90.00
_cell_angle_gamma 90.00
_symmetry_space_group_name_H-M 'P 1'
_symmetry_Int_Tables_number 1
loop_
_symmetry_equiv_pos_as_xyz
'x,y,z'
loop_
_atom_site_label
_atom_site_fract_x
_atom_site_fract_y
_atom_site_fract_z
_atom_site_occupancy
Ho1 0.0000 0.4521 0.3337 1
Ho2 0.0000 0.8530 0.1328 1
Ho3 0.0000 0.5000 0.0000 1
Ho4 0.0000 0.1470 0.8672 1
Ho5 0.0000 0.5479 0.6663 1
Er1 0.0000 0.9250 0.6362 1
Er2 0.0000 0.0750 0.3638 1
Sc1 0.5000 0.2467 0.5743 1
Sc2 0.5000 0.7985 0.8702 1
Sc3 0.5000 0.7533 0.4257 1
Sc4 0.5000 0.2015 0.1298 1
```

=====

Number 1: energy -58.754 eV per formula unit. Number 2: energy -56.192 eV per formula unit.


ScNiF3 | PBE+U | optimized geometry

Cell and atoms, written as POSCAR:
```
ScNiF3
1.0
3.997 0.000 0.000
0.000 3.997 0.000
0.000 0.000 3.997
Sc Ni F
1 1 3
Direct
0.000 0.000 0.000
0.500 0.500 0.500
0.000 0.500 0.500
0.500 0.000 0.500
0.500 0.500 0.000
```

Calculated volume = 63.87 Å³/cell
Energy above the most stable polymorph in this dataset = 835 meV per atom
Mass density = 4.18 Mg/m³


## Al2VHAu (PBE)

Data for crystalline Al2VHAu at its relaxed geometry.

```
Al2VHAu
1.0
4.169 0.000 0.000
0.000 4.169 0.000
0.000 0.000 3.603
Al Au H V
2 1 1 1
Cartesian
0.000 2.084 0.000
2.084 0.000 0.000
2.084 2.084 1.801
0.000 0.000 0.000
0.000 0.000 1.801
```

* Fermi-level density of states: 0.551 states/eV/atom
* SG: P4/mmm (123)
* volume: 63 Å³ per cell
* total magnetic moment: 1.078 μB/cell
* uncorrected energy: -4.796 eV/atom

=====

## Zr2AlHAu (PBE)

Data for crystalline Zr2AlHAu at its relaxed geometry.

```
Zr2AlHAu
1.0
4.325 0.000 0.000
0.000 4.325 0.000
0.000 0.000 4.289
Au Zr Al H
1 2 1 1
Cartesian
0.000 0.000 2.145
2.162 0.000 0.000
0.000 2.162 0.000
2.162 2.162 2.145
0.000 0.000 0.000
```

* Fermi-level density of states: 0.393 states/eV/atom
* E above lowest polymorph: 0 meV/atom
* SG: P4/mmm (123)
* volume: 80 Å³ per cell
* total magnetic moment: 0.000 μB/cell

=====

## HfAl2Au (PBE)

Data for crystalline HfAl2Au at its relaxed geometry.

```
HfAl2Au
1.0
-1.672 -4.222 0.921
-4.403 -1.021 -1.019
-0.958 -2.920 -3.468
Al Au Hf
2 1 1
Cartesian
-1.758 -2.041 -0.892
-5.274 -6.122 -2.675
-3.516 -4.082 -1.784
0.000 0.000 0.000
```

* Fermi-level density of states: 0.997 states/eV/atom
* calculated formation energy: -0.15 eV per atom
* SG: Fm-3m (225)
* volume: 70 Å³ per cell
* total magnetic moment: 0.000 μB/cell

=====

## Hf3AlAu (PBE)

Data for crystalline Hf3AlAu at its relaxed geometry.

```
Hf3AlAu
1.0

Here it is.
VASP calculation (PBE) on an optimized crystal structure of TbHgOsO6.

Summary:
raw formation energy: -1.4270 eV/atom

Geometry as CIF:
```
data_TbHgOsO6
_cell_length_a 5.5980
_cell_length_b 5.5936
_cell_length_c 4.7892
_cell_angle_alpha 90.12
_cell_angle_beta 90.08
_cell_angle_gamma 60.01
_symmetry_space_group_name_H-M 'P 1'
_symmetry_Int_Tables_number 1
loop_
_symmetry_equiv_pos_as_xyz
'x,y,z'
loop_
_atom_site_label
_atom_site_fract_x
_atom_site_fract_y
_atom_site_fract_z
_atom_site_occupancy
Tb1 0.6668 0.6665 0.5000 1
Hg1 0.0002 0.9998 0.0000 1
Os1 0.3334 0.3333 0.5000 1
O1 0.0456 0.3489 0.2733 1
O2 0.3493 0.0461 0.7264 1
O3 0.6048 0.3496 0.7268 1
O4 0.0457 0.6055 0.7266 1
O5 0.3491 0.6048 0.2736 1
O6 0.6047 0.0456 0.2732 1
```

=====

VASP calculation (PBE) on an optimized crystal structure of Ho5Er2Sc4.

Summary:
offset from the most stable computed form: 0.0 kJ per mole of atoms
calculated formation energy: 10 kJ/mol of atoms

Geometry as CIF:
```
data_Ho5Er2Sc4
_cell_length_a 3.4855
_cell_length_b 8.6602
_cell_length_c 10.6986
_cell_angle_alpha 85.37
_cell_angle_beta 90.00
_cell_angle_gamma 90.00
_symmetry_space_group_name_H-M 'P 1'
_symmetry_Int_Tables_number 1
loop_
_symmetry_equiv_pos_as_xyz
'x,y,z'
loop_
_atom_site_label
_atom_site_fract_x
_atom_site_fract_y
_atom_site_fract_z
_atom_site_occupancy
Ho1 0.0000 0.4521 0.3337 1
Ho2 0.0000 0.8530 0.1328 1
Ho3 0.0000 0.5000 0.0000 1
Ho4 0.0000 0.1470 0.8672 1
Ho5 0.0000 0.5479 0.6663 1
Er1 0.0000 0.9250 0.6362 1
Er2 0.0000 0.0750 0.3638 1
Sc1 0.5000 0.2467 0.5743 1
Sc2 0.5000 0.7985 0.8702 1
Sc3 0.5000 0.7533 0.4257 1
Sc4 0.5000 0.2015 0.1298 1
```

=====

Number 1: energy -58.754 eV per formula unit. Number 2: energy -56.192 eV per formula unit.


ScNiF3 | PBE+U | optimized geometry

Cell and atoms, written as POSCAR:
```
ScNiF3
1.0
3.997 0.000 0.000
0.000 3.997 0.000
0.000 0.000 3.997
Sc Ni F
1 1 3
Direct
0.000 0.000 0.000
0.500 0.500 0.500
0.000 0.500 0.500
0.500 0.000 0.500
0.500 0.500 0.000
```

Calculated volume = 63.87 Å³/cell
Energy above the most stable polymorph in this dataset = 835 meV per atom
Mass density = 4.18 Mg/m³


## Al2VHAu (PBE)

Data for crystalline Al2VHAu at its relaxed geometry.

```
Al2VHAu
1.0
4.169 0.000 0.000
0.000 4.169 0.000
0.000 0.000 3.603
Al Au H V
2 1 1 1
Cartesian
0.000 2.084 0.000
2.084 0.000 0.000
2.084 2.084 1.801
0.000 0.000 0.000
0.000 0.000 1.801
```

* Fermi-level density of states: 0.551 states/eV/atom
* SG: P4/mmm (123)
* volume: 63 Å³ per cell
* total magnetic moment: 1.078 μB/cell
* uncorrected energy: -4.796 eV/atom

=====

## Zr2AlHAu (PBE)

Data for crystalline Zr2AlHAu at its relaxed geometry.

```
Zr2AlHAu
1.0
4.325 0.000 0.000
0.000 4.325 0.000
0.000 0.000 4.289
Au Zr Al H
1 2 1 1
Cartesian
0.000 0.000 2.145
2.162 0.000 0.000
0.000 2.162 0.000
2.162 2.162 2.145
0.000 0.000 0.000
```

* Fermi-level density of states: 0.393 states/eV/atom
* E above lowest polymorph: 0 meV/atom
* SG: P4/mmm (123)
* volume: 80 Å³ per cell
* total magnetic moment: 0.000 μB/cell

=====

## HfAl2Au (PBE)

Data for crystalline HfAl2Au at its relaxed geometry.

```
HfAl2Au
1.0
-1.672 -4.222 0.921
-4.403 -1.021 -1.019
-0.958 -2.920 -3.468
Al Au Hf
2 1 1
Cartesian
-1.758 -2.041 -0.892
-5.274 -6.122 -2.675
-3.516 -4.082 -1.784
0.000 0.000 0.000
```

* Fermi-level density of states: 0.997 states/eV/atom